Amber Alert is an emergency response system that disseminates information about a missing person (usually a child), by media broadcasting or electronic roadway signs.
The first few hours are critical. These shocking statistics tell the cold, hard truth: 90% of all children abducted by strangers are sexually assaulted, then released by their abductor. Less than 3% of abducted children are murdered. However, a Washington State study of 621 stranger abductions that ended in murder showed that 74% of the children were killed within the first 24 hours.
If Your Child is Missing
Immediately call 911 or go to your local law enforcement agency (police or sheriff) and file a missing person report. When a child is missing and believed to be in danger, there is no waiting period for filing a report.
Have the most recent color photograph of the child, along with the child's hair sample, blood type, and physical description including a description of the clothes the child was wearing.
Information about your missing child will be entered into the National Crime Information Center Computer's Missing Person File (NCIC-MPF).
Report the child missing to the toll-free hotline of the National Center for Missing and Exploited Children (NCMEC) at 800.843.5678. The National Center can issue e-mail alerts about your missing child, distribute posters with your child's photo and information nationwide, and provide support and other resources for you and your family.
Contact other non-profit missing child organizations and state clearinghouses in adjacent states. Register your missing child and find out what other search assistance and support services they can provide.
Contact the U.S. State Department's Passport Office (Office of Citizen Appeals and Legal Assistance, Passport Services) at 202.647.0518 or 877.487.2778 in case the suspect tries to apply for a passport to leave the country with your child.
Be sensitive to changes in your children's behavior; they are a signal that you should sit down and talk to your children about what caused the changes.
Child Safety Tips to Prevent Abductions
Teach your children their full names, addresses and phone numbers.
Teach your children how to make a long-distance call (both directly to you using the area code and by dialing "0" for the operator).
Know your neighbors and your child's friends, including their names, addresses and telephone numbers.
Be alert to a teenager or adult who is paying an unusual amount of attention to your children or giving them inappropriate or expensive gifts.
Know the routes your child takes to and from school, friends' homes, and other activities.
Be involved in your child's activities by volunteering at school, clubs, and sporting events - participate in a neighborhood watch program.
Before leaving your child in the care of a day-care, pre-school, babysitter, or youth organization, check their references and qualifications. Ask if criminal background checks are conducted before new staff members are hired.
Review the web sites of Missing Child Organizations for volunteer opportunities, such as e-mailing or distributing posters of missing children.
Teach your child what to do if approached by a stranger. Common uses are offering a ride, gifts, or candy, asking the child to help them look for a lost dog or cat, or claiming that the child's parent has asked them to bring the child home because of an emergency.
Teach your children to trust their own feelings and assure them that they have the right to say no to what they sense is wrong.
Listen to your child; don't disregard their fears. Instead, let them know that you take their fears and concerns seriously.
Basic Rules of Safety for Children
As soon as your children can articulate a sentence, they can begin the process of learning how to protect themselves against abduction and exploitation.
Children should be taught if you are in a public place and you get separated from your patents, don't wander around looking for them. Go to a checkout counter, the security office, or the lost and found and quickly tell the person in charge that you have lost your mom and dad and need help finding them.
You should not get into a car or go anywhere with any person unless your parents have told you that it is okay.
If someone follows you on foot or in a car, stay away from him or her. You should not get close to any car, unless your parent or a trusted adult accompanies you.
Grownups and others who need help should not be asking children for help; they should be asking older people.
No one should be asking you for directions or to look for a "lost puppy" or telling you that your mother or father is in trouble and that he or she will take you to them.
If someone tries to take you somewhere, quickly get away from him (or her) and yell or scream. "This man (woman) is trying to take me away" or "this person is not my father (mother)."
You should try to take a friend with you, and never go places alone.
Always ask your parents' permission to leave the yard or play area or to go into someone's home.
Never hitchhike or try to get a ride home with anyone unless your parents have told you it is okay to ride with him or her.
No one should touch you in the parts of the body that would be covered by a bathing suit, nor should you touch anyone else in those areas. Your body is special and private.
You can be assertive and you have the right to say no to someone who tries to take you somewhere, touches you, or makes you feel uncomfortable, scared, or confused in anyway.
My 8 Rules for Safety
Traditional messages of "Don't take candy from strangers," "Don't be a tattletale," and "Be respectful to adults, they know what they're doing" are incomplete and can lead to the abduction and sexual victimization of children. Children and families do not have to live in fear of these crimes, but they do need to be alert, cautious, and prepared. The key to child safety is communication. A child's best weapon against victimization is his or her ability to think and preparation to respond to potentially dangerous situations. By learning and following these 8 Rues for Safety, children can empower themselves with the skills, knowledge, and abilities to better protect themselves.
• Records of crystals that have nothing to do with the article:
+++
PBE U3Ga8Cu4, optimized geometry; M_tot = 7.507 μB/cell; calculated total energy = -5.079 eV per atom; space group = No. 119
1.0
-2.046 2.046 15.810
2.046 -2.046 15.810
2.046 2.046 -15.810
U Ga Cu
3 8 4
Cartesian
0.000 0.000 0.000
0.000 0.000 10.464
0.000 0.000 21.157
0.000 0.000 4.123
0.000 0.000 6.590
0.000 0.000 14.593
0.000 0.000 17.027
0.000 2.046 2.651
0.000 0.000 25.030
0.000 0.000 27.498
0.000 2.046 13.159
2.046 0.000 2.633
2.046 0.000 7.905
2.046 0.000 13.177
0.000 2.046 7.905

----------

No. 1
The following is a DFT calculation (GGA-PBE) of Pr5Sn3 after structural relaxation.

Cell lengths 9.4174, 9.4174, 6.8340 Å; angles 90.00, 90.00, 120.00 degrees
Last column: nearest neighbours and their distance in Å.
Positions (direct):
Pr  0.0000  0.2445  0.2500  3 Sn 3.22-3.44
Pr  0.0000  0.7555  0.7500  3 Sn 3.22-3.44
Pr  0.2445  0.0000  0.2500  3 Sn 3.22-3.44
Pr  0.2445  0.2445  0.7500  3 Sn 3.22-3.44
Pr  0.3333  0.6667  0.0000  6 Sn 3.37, 2 Pr 3.42
Pr  0.3333  0.6667  0.5000  6 Sn 3.37, 2 Pr 3.42
Pr  0.6667  0.3333  0.0000  6 Sn 3.37, 2 Pr 3.42
Pr  0.6667  0.3333  0.5000  6 Sn 3.37, 2 Pr 3.42
Pr  0.7555  0.0000  0.7500  3 Sn 3.22-3.44
Pr  0.7555  0.7555  0.2500  3 Sn 3.22-3.44
Sn  0.0000  0.3905  0.7500  7 Pr 3.22-3.44
Sn  0.0000  0.6095  0.2500  7 Pr 3.22-3.44
Sn  0.3905  0.0000  0.7500  7 Pr 3.22-3.44
Sn  0.3905  0.3905  0.2500  7 Pr 3.22-3.44
Sn  0.6095  0.0000  0.2500  7 Pr 3.22-3.44
Sn  0.6095  0.6095  0.7500  7 Pr 3.22-3.44

The relative energy among the computed polymorphs comes out at 0.004 eV per atom.

=====

No. 2
The following is a DFT calculation (GGA-PBE) of PrSn3 after structural relaxation.

Cell lengths 4.7963, 4.7963, 4.7963 Å; angles 90.00, 90.00, 90.00 degrees
Last column: nearest neighbours and their distance in Å.
Positions (direct):
Pr  0.0000  0.0000  0.0000  12 Sn 3.39
Sn  0.0000  0.5000  0.5000  8 Sn 3.39, 4 Pr 3.39
Sn  0.5000  0.0000  0.5000  8 Sn 3.39, 4 Pr 3.39
Sn  0.5000  0.5000  0.0000  8 Sn 3.39, 4 Pr 3.39

=====

No. 3
The following is a DFT calculation (GGA-PBE) of Pr5Sn3 after structural relaxation.

Cell lengths 9.5068, 9.5068, 9.5068 Å; angles 96.28, 96.28, 141.38 degrees
Last column: nearest neighbours and their distance in Å.
Positions (direct):
Pr  0.0839  0.7834  0.8673  6 Sn 3.32-3.64, 1 Pr 3.58
Pr  0.2166  0.0839  0.3005  6 Sn 3.32-3.64, 1 Pr 3.58
Pr  0.2500  0.7500  0.5000  2 Pr 3.14, 4 Sn 3.28
Pr  0.2834  0.5839  0.8673  6 Sn 3.32-3.64, 1 Pr 3.58
Pr  0.4161  0.2834  0.6995  6 Sn 3.32-3.64, 1 Pr 3.58
Pr  0.5839  0.7166  0.3005  6 Sn 3.32-3.64, 1 Pr 3.58
Pr  0.7166  0.4161  0.1327  6 Sn 3.32-3.64, 1 Pr 3.58
Pr  0.7500  0.2500  0.5000  2 Pr 3.14, 4 Sn 3.28
Pr  0.7834  0.9161  0.6995  6 Sn 3.32-3.64, 1 Pr 3.58
Pr  0.9161  0.2166  0.1327  6 Sn 3.32-3.64, 1 Pr 3.58
Sn  0.1602  0.3398  0.5000  10 Pr 3.28-3.64
Sn  0.2500  0.2500  0.0000  2 Sn 3.14, 8 Pr 3.34
Sn  0.3398  0.8398  0.1795  10 Pr 3.28-3.64
Sn  0.6602  0.1602  0.8205  10 Pr 3.28-3.64
Sn  0.7500  0.7500  0.0000  2 Sn 3.14, 8 Pr 3.34
+++
Before I go anywhere, I always check first with my parents or the person in charge. I tell them where I am going, how I will get there, who will be going with me, and when I'll be back.
I check first for permission from my parents before getting into a car or leaving with anyone - even someone I know. I check first before changing plans or accepting money, gifts, or drugs without my parents' knowledge.
It is safer for me to be with other people when going places or playing outside. I always use the "buddy system."
I say NO if someone tries to touch me in ways that make me feel frightened, uncomfortable, or confused. Then I go and tell a grown-up I trust what happened.
I know it is not my fault if someone touches me in a way that is not O.K. I don't have to keep secrets about those touches.
I trust my feelings and talk to grown-ups about problems that are too big for me to handle on my own. A lot of people care about me and will listen and believe me. I am not alone.
It is never too late to ask for help. I can keep asking until I get the help I need.
Attached: crystal structures.
┌──
A plane-wave DFT calculation with GGA-PBE was carried out for Na6Ca8Nb4Si3S15O72 after structural relaxation.

## Properties
Total magnetization (μB/atom): 0.00
Calculated formation energy (eV per atom): -2.461
Theoretical density (g/cm3): 2.47

Cell lengths 9.114, 9.107, 23.765 Å; angles 89.91, 90.06, 119.85 degrees
Sites, in units of the cell vectors:
Na (0.988, 0.985, 0.492)
Na (0.004, 0.016, 0.998)
Na (0.664, 0.330, 0.830)
Na (0.668, 0.336, 0.332)
Na (0.333, 0.661, 0.170)
Na (0.338, 0.672, 0.659)
Ca (0.996, 0.998, 0.352)
Ca (0.998, 0.002, 0.851)
Ca (0.998, 0.998, 0.644)
Ca (0.000, 0.001, 0.152)
Ca (0.666, 0.331, 0.683)
Ca (0.667, 0.335, 0.189)
Ca (0.333, 0.664, 0.019)
Ca (0.336, 0.669, 0.519)
Nb (0.675, 0.335, 0.981)
Nb (0.674, 0.333, 0.476)
Nb (0.331, 0.675, 0.322)
Nb (0.321, 0.657, 0.816)
Si (0.038, 0.369, 0.920)
Si (0.628, 0.962, 0.420)
Si (0.039, 0.670, 0.421)
S (0.298, 0.991, 0.252)
S (0.691, 0.701, 0.252)
S (0.011, 0.309, 0.252)
S (0.299, 0.304, 0.753)
S (0.005, 0.702, 0.753)
S (0.693, 0.992, 0.753)
S (0.954, 0.332, 0.581)
S (0.378, 0.046, 0.582)
S (0.667, 0.620, 0.582)
S (0.955, 0.624, 0.082)
S (0.669, 0.046, 0.082)
S (0.379, 0.331, 0.081)
S (0.621, 0.658, 0.917)
S (0.341, 0.962, 0.917)
S (0.341, 0.379, 0.417)
O (0.219, 0.014, 0.302)
O (0.797, 0.782, 0.301)
O (0.988, 0.205, 0.301)
O (0.219, 0.203, 0.802)
O (0.986, 0.781, 0.803)
O (0.797, 0.014, 0.802)
O (0.760, 0.959, 0.701)
O (0.198, 0.240, 0.701)
O (0.038, 0.802, 0.701)
O (0.763, 0.800, 0.199)
O (0.035, 0.234, 0.200)
O (0.199, 0.963, 0.200)
O (0.874, 0.348, 0.633)
O (0.472, 0.125, 0.634)
O (0.655, 0.528, 0.634)
O (0.873, 0.524, 0.132)
O (0.652, 0.128, 0.132)
O (0.475, 0.345, 0.132)
O (0.479, 0.321, 0.030)
O (0.842, 0.522, 0.029)
O (0.681, 0.159, 0.029)
O (0.475, 0.155, 0.531)
O (0.678, 0.523, 0.531)
O (0.843, 0.320, 0.530)
O (0.550, 0.686, 0.967)
O (0.145, 0.464, 0.973)
O (0.321, 0.866, 0.968)
O (0.544, 0.851, 0.473)
O (0.316, 0.451, 0.468)
O (0.143, 0.680, 0.474)
O (0.139, 0.636, 0.362)
O (0.494, 0.859, 0.363)
O (0.368, 0.493, 0.366)
O (0.143, 0.504, 0.862)
O (0.367, 0.877, 0.866)
O (0.510, 0.634, 0.866)
O (0.007, 0.822, 0.410)
O (0.817, 0.008, 0.409)
O (0.200, 0.210, 0.407)
O (0.999, 0.182, 0.911)
O (0.195, 0.985, 0.908)
O (0.792, 0.798, 0.908)
O (0.961, 0.173, 0.581)
O (0.211, 0.037, 0.582)
O (0.824, 0.788, 0.582)
O (0.960, 0.787, 0.080)
O (0.826, 0.039, 0.080)
O (0.212, 0.175, 0.080)
O (0.666, 0.138, 0.748)
O (0.473, 0.335, 0.748)
O (0.864, 0.527, 0.748)
O (0.668, 0.529, 0.247)
O (0.863, 0.334, 0.246)
O (0.472, 0.136, 0.247)
O (0.629, 0.495, 0.923)
O (0.843, 0.362, 0.929)
O (0.500, 0.136, 0.922)
O (0.630, 0.151, 0.428)
O (0.503, 0.370, 0.422)
O (0.846, 0.487, 0.428)
O (0.365, 0.484, 0.076)
O (0.122, 0.642, 0.076)
O (0.519, 0.881, 0.075)
O (0.359, 0.877, 0.579)
O (0.515, 0.636, 0.579)
O (0.122, 0.480, 0.577)
O (0.313, 0.830, 0.259)
O (0.516, 0.683, 0.259)
O (0.170, 0.482, 0.259)
O (0.317, 0.484, 0.763)
O (0.170, 0.688, 0.762)
O (0.517, 0.833, 0.764)


Entry 1:
└──
I am a special person, and I deserve to feel safe. My rules are:
Parent Recordkeeping
What comes next are records of crystals, not part of the article
=====
Record 1
Density functional theory data (PBE) for a relaxed In3Cu crystal.

abc: 4.4828 4.4828 4.4828
angles: 90.00 90.00 90.00
Closest atoms and distances in Å follow each position.
Fractional positions:
In 0.0000 0.5000 0.5000  8 In 3.17, 4 Cu 3.17
In 0.5000 0.0000 0.5000  8 In 3.17, 4 Cu 3.17
In 0.5000 0.5000 0.0000  8 In 3.17, 4 Cu 3.17
Cu 0.0000 0.0000 0.0000  12 In 3.17

mass density: 7.521 g/cm³
crystal system: cubic

---

Record 2
Density functional theory data (PBE) for a relaxed In7Cu10 crystal.

abc: 9.2008 9.2008 6.7819
angles: 89.21 89.21 81.24
Closest atoms and distances in Å follow each position.
Fractional positions:
In 0.1200 0.5685 0.6130  6 Cu 2.63-2.93
In 0.5348 0.5348 0.7160  8 Cu 2.68-2.84
In 0.8426 0.2948 0.8016  7 Cu 2.64-2.90
In 0.8800 0.4315 0.3870  6 Cu 2.63-2.93
In 0.2369 0.2369 0.9332  8 Cu 2.68-2.81
In 0.7052 0.1574 0.1984  7 Cu 2.64-2.90
In 0.1665 0.1665 0.5028  8 Cu 2.68-2.86
In 0.1574 0.7052 0.1984  7 Cu 2.64-2.90
In 0.4315 0.8800 0.3870  6 Cu 2.63-2.93
In 0.8335 0.8335 0.4972  8 Cu 2.68-2.86
In 0.2948 0.8426 0.8016  7 Cu 2.64-2.90
In 0.4652 0.4652 0.2840  8 Cu 2.68-2.84
In 0.7631 0.7631 0.0668  8 Cu 2.68-2.81
In 0.5685 0.1200 0.6130  6 Cu 2.63-2.93
Cu 0.2182 0.9959 0.1528  6 Cu 2.55-2.78, 4 In 2.63-2.83
Cu 0.7076 0.4811 0.0609  5 In 2.64-2.84, 5 Cu 2.71-2.78
Cu 0.1112 0.8888 0.5000  4 In 2.66-2.68, 5 Cu 2.67-2.77
Cu 0.8175 0.5918 0.7255  5 Cu 2.57-2.77, 6 In 2.71-2.85
Cu 0.7818 0.0041 0.8472  6 Cu 2.55-2.78, 4 In 2.63-2.83
Cu 0.4811 0.7076 0.0609  5 In 2.64-2.84, 5 Cu 2.71-2.78
Cu 0.4082 0.1825 0.2745  5 Cu 2.57-2.77, 6 In 2.71-2.85
Cu 0.8888 0.1112 0.5000  4 In 2.66-2.68, 5 Cu 2.67-2.77
Cu 0.2924 0.5189 0.9391  5 In 2.64-2.84, 5 Cu 2.71-2.78
Cu 0.0041 0.7818 0.8472  6 Cu 2.55-2.78, 4 In 2.63-2.83
Cu 0.1825 0.4082 0.2745  5 Cu 2.57-2.77, 6 In 2.71-2.85
Cu 0.9512 0.9512 0.1667  7 Cu 2.55-2.72, 4 In 2.73-2.76
Cu 0.0000 0.5000 0.0000  6 Cu 2.57-2.78
Cu 0.6487 0.6487 0.3924  6 In 2.68-2.70, 4 Cu 2.75-2.76
Cu 0.5918 0.8175 0.7255  5 Cu 2.57-2.77, 6 In 2.71-2.85
Cu 0.9959 0.2182 0.1528  6 Cu 2.55-2.78, 4 In 2.63-2.83
Cu 0.5189 0.2924 0.9391  5 In 2.64-2.84, 5 Cu 2.71-2.78
Cu 0.0488 0.0488 0.8333  7 Cu 2.55-2.72, 4 In 2.73-2.76
Cu 0.5000 0.0000 0.0000  6 Cu 2.57-2.78
Cu 0.3513 0.3513 0.6076  6 In 2.68-2.70, 4 Cu 2.75-2.76

mass density: 8.425 g/cm³
crystal system: monoclinic

---

Record 3
Density functional theory data (PBE) for a relaxed In2Cu crystal.

abc: 4.6914 4.6914 6.9019
angles: 90.00 90.00 120.00
Closest atoms and distances in Å follow each position.
Fractional positions:
In 0.3333 0.6667 0.7500  3 Cu 2.71
In 0.6667 0.3333 0.2500  3 Cu 2.71
In 0.0000 0.0000 0.5000  8 In 3.21-3.45, 6 Cu 3.21
In 0.0000 0.0000 0.0000  8 In 3.21-3.45, 6 Cu 3.21
Cu 0.3333 0.6667 0.2500  3 In 2.71
Cu 0.6667 0.3333 0.7500  3 In 2.71

mass density: 7.401 g/cm³
crystal system: hexagonal

---

Record 4
Density functional theory data (PBE) for a relaxed InCu4 crystal.

abc: 3.0599 3.0599 7.6981
angles: 101.40 101.40 90.29
=====
Keep current identification on each child (such as a recent photo, video, hair sample, blood type, identifying marks, and physical description) in a safe accessible place.
Know how to obtain your child's dental x-rays and medical records.
Please visit the State of Indiana’s Amber Alert Website for more detailed information.